Country code GB
Repository code 234
Repository National Records of Scotland
Reference GD170/3000
Title Letter from John Campbell, 2nd marques of Breadalbane, to Sir Alexander Campbell of Barcaldine, 2nd bt.
Dates 1842-1856
Access status Open
Location On site
Description Estate and personal matters.
Dated at Taymouth, London, Brighton, Florence, Baveria etc.
1846, July 5. Gives Barcaldine instructions on how to act if he is informed that the Queen intends to visit Taymouth.
He is to get flags made as well as 6 or 8 carronades for Easdale and Oban, the latter to be placed so that salutes can be fired; the kitchens are to be put into good order.
1847, April 8. Florence. Discusses in detail what should be done to the estate.
1847, July 2. Agrees with Barcaldine that everything should be done at Oban, the forest house, Killin and Taymouth to give the Grand Duke Constantine the very best reception: venison cutlets are to be prepared, ‘there should also be our national dish a haggis of deer for dinner … and recommend it to the Duke’.
1848, March 24. Deals with management of the gardens at Taymouth.
1848, April 4. On Stewart's mismanagement of the granite quarries.
1855, November 5. Hopes that ‘the unfortunate personal question is considered by all at an end’. Intends to settle £200 yearly upon Barcaldine as well as a salary of £200 while he remains with Breadalbane, and a house.
1856, August 2. Complains of Barcaldine's altered conduct in breaking the engagement, ‘so unlike the conduct of a man of honour that either I must have been grievously mistaken as to your real character, or you must now be acting under an influence which has deprived you of the power of exercising either sound judgement or proper feeling’. Condemns Barcaldine's unjust and unfounded accusations against Lady Breadalbane.
44 letters with 45 scroll answers, 1846-56, including the following:
1847, February 15. Gives details of state of quarries at Easdale, Barrs granite quarry, railways etc.
1847, June 4. Reports on destitution in Nether Lorne; thinks the people on Breadalbane's estates are better off than those in any other part of the highlands; ‘how can they be otherwise than well off when your lordship expends a thousand pounds a month in wages in that parish [Kilbrandon and Kilchattan,] one of the smallest in the highlands’.
_What comes next are calculated crystals, not part of the article_
+++
Density functional theory data (PBE with a Hubbard U) for a relaxed structure of V2OF5.

ρ: 3.30 g cm⁻³
calculated formation energy: -3.02 eV/atom
E (MP2020): -7.108 eV/atom
energy above the lowest structure with this stoichiometry: 23 meV per atom

Structure (extended XYZ):
```
24
Lattice="2.6187 -4.5357 0.0000 2.6187 4.5357 0.0000 0.0000 0.0000 13.5263" Properties=species:S:1:pos:R:3 pbc="T T T"
F 1.2501 -1.5106 11.2704
F 2.7499 -1.1306 9.0596
F 0.1719 -0.2977 9.0175
F 2.2229 -1.5889 4.5508
F 1.2501 1.5106 2.2558
F 2.8833 -1.8162 0.0421
F 2.2229 1.5889 8.9754
F 3.3041 0.3274 11.2734
F 2.8833 1.8162 13.4842
F 3.3018 2.6978 6.7646
F 3.3041 -0.3274 2.2529
F 2.7499 1.1306 4.4667
F 4.8936 0.0000 0.0000
F 0.1719 0.2977 4.5088
F 3.3018 -2.6978 6.7617
V 1.8777 -3.0146 12.3441
V 4.2906 1.4023 5.6909
V 1.6878 0.1188 10.1997
V 1.6878 -0.1188 3.3266
V 1.8777 3.0146 1.1822
V 4.2906 -1.4023 7.8354
O 0.6415 1.1110 11.2719
O 0.6415 -1.1110 2.2544
O 3.9545 0.0000 6.7631
```

Density functional theory data (PBE with a Hubbard U) for a relaxed structure of V2O3F.

ρ: 4.20 g cm⁻³
calculated formation energy: -2.66 eV/atom
E (MP2020): -8.486 eV/atom
energy above the lowest structure with this stoichiometry: 5 meV per atom

Structure (extended XYZ):
```
24
Lattice="4.7038 -0.1646 0.0000 -0.1646 4.7038 0.0000 0.0000 0.0000 12.0980" Properties=species:S:1:pos:R:3 pbc="T T T"
V 2.4833 2.0559 1.5089
V 4.6834 -0.1442 3.0244
V 2.0558 2.4833 7.5579
V 4.7037 -0.1646 0.0001
V 4.7037 -0.1645 6.0488
V 2.4833 2.0559 4.5401
V -0.1442 4.6833 9.0735
V 2.0558 2.4833 10.5891
F 0.8096 3.7296 4.5363
F 3.7297 0.8095 10.5854
F 3.7296 0.8095 7.5616
F 0.8096 3.7295 1.5126
O 3.1427 3.1426 0.0000
O 1.3966 1.3965 0.0000
O 3.1427 3.1426 6.0490
O 3.7465 0.7927 1.5116
O 1.4135 1.3762 3.0245
O 0.7927 3.7465 7.5605
O 3.1257 3.1629 9.0735
O 3.7465 0.7927 4.5374
O 1.3763 1.4135 9.0735
O 3.1630 3.1256 3.0245
O 0.7927 3.7465 10.5865
O 1.3966 1.3965 6.0490
```

Density functional theory data (PBE with a Hubbard U) for a relaxed structure of V3O7F.

ρ: 3.48 g cm⁻³
calculated formation energy: -2.30 eV/atom
E (MP2020): -8.101 eV/atom

Structure (extended XYZ):
```
44
Lattice="-0.4180 0.5497 -3.5474 9.0519 -3.8170 -1.6580 -6.0474 -13.7267 -1.4146" Properties=species:S:1:pos:R:3 pbc="T T T"
O -4.7447 -13.0418 -3.3076
O -1.9289 -5.9050 -4.3648
O 3.2804 -7.5206 -1.5879
O -1.1699 -12.1629 -5.4111
O -0.6939 -9.4734 -5.0321
O 2.5306 -2.8742 -2.6205
O -1.1312 -7.9276 -2.8912
O 0.3506 -6.8662 -4.7824
O 3.7563 -4.8311 -1.2089
O 2.0913 -1.3256 -0.4968
O 3.7177 -9.0665 -3.7288
O 4.1746 -12.9627 -4.3238
O 7.4032 -6.3689 -1.8768
O 5.0517 -2.9910 -2.8948
O 0.0849 -1.8429 -2.1725
O -3.1396 -8.4421 -4.5841
O 0.4952 -15.6684 -6.1232
O -1.5881 -4.0313 -2.2961
O 7.3312 -3.9522 -3.3123
O -4.8168 -10.6251 -4.7431
O 2.0588 -5.5691 -2.9641
O 0.0559 -14.1199 -3.9995
O 5.7261 -8.5519 -2.0359
O 2.5016 -15.1512 -4.4475
O 0.5277 -11.4249 -3.6558
O -2.4652 -14.0030 -3.7251
O 2.2359 -10.1278 -1.8376
O 4.5154 -11.0890 -2.2551
+++
1847, June 26. On visit of Grand Duke Constantine to Taymouth.
-- Attached: data records --
~~~
VASP calculation (PBE with a Hubbard U) on a relaxed structure of Ho2MgMo2Cl2O8.

Properties
Calculated formation energy: -38.33 eV per formula unit
Total magnetization: 2.00 Bohr magnetons per cell
SG: No. 1
Distance to the lowest polymorph of the same formula: 0.027 eV/atom
Raw total energy: -6.811 eV/atom

Cell and atoms, written as CIF:
```
data_Ho2MgMo2Cl2O8
_chemical_formula_sum 'Ho2 Mg1 Mo2 Cl2 O8'
_cell_length_a 6.4803
_cell_length_b 6.4914
_cell_length_c 6.9485
_cell_angle_alpha 72.99
_cell_angle_beta 73.00
_cell_angle_gamma 66.22
_symmetry_space_group_name_H-M 'P 1'
_symmetry_Int_Tables_number 1
_symmetry_space_group_name_Hall 'P 1'
loop_
_atom_site_label
_atom_site_type_symbol
_atom_site_fract_x
_atom_site_fract_y
_atom_site_fract_z
Ho1 Ho 0.2341 0.2445 0.8936
Ho2 Ho 0.7546 0.7649 0.1063
Mg1 Mg 0.6901 0.3097 0.5003
Mo1 Mo 0.3614 0.3552 0.2672
Mo2 Mo 0.6433 0.6389 0.7324
O1 O 0.5504 0.5262 0.2238
O2 O 0.7549 0.6186 0.4559
O3 O 0.9060 0.5398 0.8444
O4 O 0.1182 0.5133 0.1306
O5 O 0.4736 0.4483 0.7764
O6 O 0.3811 0.2443 0.5441
O7 O 0.4598 0.0931 0.1552
O8 O 0.4852 0.8811 0.8696
Cl1 Cl 0.9525 0.0476 0.2488
Cl2 Cl 0.9533 0.0455 0.7514
```

---

VASP calculation (PBE with a Hubbard U) on a relaxed structure of Li3V3O3F5.

Properties
Calculated formation energy: -39.47 eV per formula unit
Total magnetization: 0.00 Bohr magnetons per cell
Distance to the lowest polymorph of the same formula: 0.000 eV/atom
Raw total energy: -6.242 eV/atom

Cell and atoms, written as CIF:
```
data_Li3V3O3F5
_chemical_formula_sum 'Li6 V6 O6 F10'
_cell_length_a 6.0840
_cell_length_b 10.4797
_cell_length_c 6.0629
_cell_angle_alpha 73.78
_cell_angle_beta 119.41
_cell_angle_gamma 90.78
_symmetry_space_group_name_H-M 'P 1'
_symmetry_Int_Tables_number 1
_symmetry_space_group_name_Hall 'P 1'
loop_
_atom_site_label
_atom_site_type_symbol
_atom_site_fract_x
_atom_site_fract_y
_atom_site_fract_z
F1 F 0.0436 0.8122 0.6108
F2 F 0.3047 0.0705 0.6084
F3 F 0.8024 0.0671 0.5993
F4 F 0.5437 0.3122 0.6108
F5 F 0.5740 0.3038 0.1429
F6 F 0.3292 0.0618 0.1403
F7 F 0.8040 0.5703 0.6083
F8 F 0.0739 0.8040 0.1428
F9 F 0.8289 0.5619 0.1405
F10 F 0.3022 0.5671 0.5995
Li1 Li 0.9894 0.0027 0.0155
Li2 Li 0.4208 0.1936 0.3589
Li3 Li 0.4893 0.5026 0.0157
Li4 Li 0.3941 0.8682 0.7567
Li5 Li 0.8939 0.3682 0.7565
Li6 Li 0.9211 0.6934 0.3594
V1 V 0.9447 0.1927 0.3643
V2 V 0.4444 0.6928 0.3640
V3 V 0.9380 0.6860 0.8770
V4 V 0.1807 0.4330 0.3621
V5 V 0.6811 0.9326 0.3620
V6 V 0.4380 0.1861 0.8766
O1 O 0.5724 0.8086 0.1564
O2 O 0.0811 0.3086 0.6027
O3 O 0.0721 0.3086 0.1564
O4 O 0.8003 0.0668 0.1550
O5 O 0.3010 0.5663 0.1554
O6 O 0.5808 0.8086 0.6018
```

---

total magnetization of number 1 (Ho2MgMo2Cl2O8)?
2.00 Bohr magnetons per cell

----------

# ZrCo, relaxed, DFT PBE
# Volume = 33 Å³/cell
data_ZrCo
_chemical_formula_sum 'Zr1 Co1'
_space_group_name_H-M_alt 'P m -3 m'
_space_group_IT_number 221
_space_group_name_Hall '-P 4 2 3'
_cell_length_a 3.1944
_cell_length_b 3.1944
_cell_length_c 3.1944
~~~
1847, August 19. ‘I write to inform you that Her Majesty passed through Easdale about ½ past nine oclock this morning’. Gives details of the welcome she was given.
1847, August 20. ‘The Dream’, Fortwilliam. Is now at anchor off Fortwilliam; the royal squadron arrived this morning; writer has presented the deer for the Queen; has been on board the royal yacht and was kindly received by the Prince who ‘thanked me for the deer, enquired after your Lordship and Lady Breadalbane and made some remarks about the scenery …..’
1848, January 2. On condition of the quarries - Easdale, Kilchattan and others.
1848, March 27. Announces triumphantly that he shot 143 hares in four hours on Tuesday and 230 in three hours on Friday.
1848, April 5. Gives details of new glass needed for the pine [apple] pits, the grape houses and the greenhouse, and of proposed alterations in the garden.
1853, April 13. On danger of fire at Taymouth; urges installation of an engine to deal with an outbreak.
1853, April 26. ‘Peter Robertson has kept two fine young pups of the fine deerhound breed for Count Potocki’.
1854, July 27. Has inspected the new Glenetive road; describes its condition with a sketch.
1856, July 20. Complains of the accommodation provided for himself and family; cannot conduct Breadalbane's affairs longer under present circumstances; his wife's health has suffered by being forced to leave Taymouth [at the request of Lady Breadalbane,] and she needs absolute rest; the effect upon her nervous sytem is such that writer cannot leave her for a single day, so that he will be unable to conduct Breadalbane's business.